Data:
┌──
# 1
Formula: C30H52BrCuN3OP2
Source: OMol25
Level of theory: ωB97M-V/def2-TZVPD

HOMO-LUMO gap (alpha / beta): 0.2593 / 0.1381 hartree
HOMO level (alpha / beta): -0.4928 / -0.4923 hartree
energy relative to the best compared isomer or geometry (same formula, charge and spin): 0.0000 eV
⟨S²⟩: 0.752
molecular weight: 676.164 g/mol

The geometry in ORCA input format:
```
! wB97M-V def2-TZVPD RIJCOSX def2/J DEFGRID3
* xyz 2 2
C -4.702 1.882 -3.459
H -2.464 -2.082 3.334
H 0.319 -3.261 -4.076
H -1.411 1.094 5.776
H -2.560 -0.203 6.190
H -4.661 -1.526 -0.438
N -1.597 -0.478 4.375
H 3.815 -0.669 -3.170
N -5.448 2.602 -2.625
C -3.716 2.528 -0.987
C 2.159 -0.435 -1.761
H 3.427 2.593 -4.519
H 2.203 -0.699 -3.909
C 0.626 2.377 -2.615
H 1.175 1.492 -4.519
C -1.273 -4.280 0.887
H -0.299 2.455 2.372
H 2.119 0.620 4.360
H -3.500 -0.622 3.453
C 1.028 3.191 -1.531
H 5.394 1.133 -1.329
H 2.783 -2.117 -3.011
C -2.762 -1.243 3.979
H 1.477 -0.204 1.401
O -1.357 0.171 2.182
H 0.920 -3.069 -1.687
H 3.561 1.321 1.153
H 3.612 -0.568 2.737
H 2.468 -1.876 3.132
H 1.590 -1.879 0.825
C 2.178 -1.015 1.152
C 2.182 3.949 -1.632
H -5.584 3.590 -0.782
H -1.225 -2.190 1.600
H -1.347 -2.724 -3.750
H 0.324 -2.881 1.105
C 2.782 -1.018 -3.033
C 1.101 0.453 4.727
H 5.800 0.467 0.262
H -0.876 1.081 -3.498
C 3.737 1.124 0.085
N 0.141 0.967 3.758
C 0.585 1.993 2.838
H -3.297 2.895 -0.045
C -1.484 1.559 -1.470
C -2.905 1.743 -1.830
C -3.706 -1.814 0.018
P 3.214 -0.605 -0.292
H -2.867 -3.461 -1.123
H -0.828 -4.873 0.074
C 5.224 1.249 -0.250
H -3.280 -0.943 0.527
H 1.957 0.636 -1.906
P -1.000 -1.972 -0.741
C 3.079 3.657 -2.671
H 0.998 0.961 5.695
C -0.745 -2.849 0.860
H 1.239 1.591 2.042
Cu -0.192 0.110 -1.219
H 1.154 2.746 3.392
C -3.453 1.367 -3.074
C 2.708 2.823 -3.745
H -2.371 -4.322 0.805
H -3.221 -1.637 4.890
H -5.067 1.678 -4.467
H -0.016 -1.583 -3.605
H 2.422 4.703 -0.888
H -2.893 0.783 -3.797
C -2.770 -2.367 -1.055
H 3.133 1.837 -0.494
H -0.548 -4.076 -1.846
C -4.974 2.957 -1.430
H 0.957 -0.624 4.874
C 3.058 -1.424 2.327
C -0.962 0.217 3.364
H 0.439 3.205 -0.610
H -0.979 -4.752 1.831
Br 4.765 4.402 -2.665
C -0.305 -2.626 -3.426
H -0.819 -0.492 6.343
H -1.242 2.091 -0.543
H -3.945 -2.568 0.785
C 1.471 2.200 -3.732
C -1.585 0.011 5.744
H 5.600 2.225 0.075
H 3.793 -2.169 2.001
C -0.519 1.466 -2.535
C -0.143 -3.058 -1.971
H 1.195 -0.976 -1.516
H -3.009 -1.961 -2.051
*
```



# 2
Formula: C30H52BrN3OP2Pd
Source: OMol25
Level of theory: ωB97M-V/def2-TZVPD

HOMO-LUMO gap: 0.2521 hartree
HOMO level: -0.2397 hartree
energy relative to the best compared isomer or geometry (same formula, charge and spin): 0.0000 eV
molecular weight: 719.038 g/mol

The geometry in ORCA input format:
```
! wB97M-V def2-TZVPD RIJCOSX def2/J DEFGRID3
* xyz 0 1
N -5.145 2.022 -3.695
H -4.194 2.205 -0.492
H 1.650 -1.861 2.750
H 1.579 1.052 5.758
H 4.909 1.297 -1.615
C 0.066 -1.346 5.484
H 1.853 2.569 3.173
H 4.271 -0.637 -3.188
H 1.885 2.457 -3.421
H 0.863 2.598 5.262
C -0.238 -2.743 -3.761
C -2.064 -1.400 4.268
H 5.077 2.411 -0.234
H -0.421 1.617 -3.243
C 1.754 2.973 -2.456
H -1.897 -2.309 3.668
H 1.102 -1.363 5.128
C 3.332 -1.202 -3.248
H -3.876 -2.371 0.660
H -3.290 -1.802 -2.355
H -1.155 -4.532 1.572
C -2.929 1.125 -3.504
C -1.586 -4.060 0.681
H -1.356 -1.946 1.266
C -0.450 -3.190 -2.308
C 0.722 1.513 5.252
C 0.344 3.516 -0.506
H 0.046 -0.869 6.471
C -5.157 2.288 -2.391
H -2.672 -4.008 0.791
P -1.236 -1.954 -1.150
H 5.491 0.687 -0.052
C 0.580 2.782 -1.683
H 3.529 -2.247 -2.977
H 1.358 -1.161 -2.366
H -0.604 3.429 0.016
P 2.883 -0.584 -0.589
C 4.798 1.394 -0.529
C -0.993 -2.676 0.522
H -5.036 -2.032 -0.623
C -3.997 -1.854 -0.308
N 0.592 1.055 3.882
H 0.527 -3.466 -1.878
Pd -0.035 0.099 -1.204
H 3.693 3.900 -2.502
H 1.164 4.960 0.865
H 1.365 -2.016 0.277
H -4.126 1.234 -5.305
H 2.623 1.767 -0.543
N -0.838 -0.696 4.552
C 2.300 -0.561 -2.312
H -1.078 -4.099 -2.296
C 1.750 -1.085 0.725
H 2.956 -1.174 -4.280
O -0.894 0.135 2.399
H 3.186 -2.142 1.921
H -2.088 0.686 -4.044
H 2.078 0.486 -2.585
└──

Brief:
Transcribe the listing above verbatim, please.

Solution:
# 1
Formula: C30H52BrCuN3OP2
Source: OMol25
Level of theory: ωB97M-V/def2-TZVPD

HOMO-LUMO gap (alpha / beta): 0.2593 / 0.1381 hartree
HOMO level (alpha / beta): -0.4928 / -0.4923 hartree
energy relative to the best compared isomer or geometry (same formula, charge and spin): 0.0000 eV
⟨S²⟩: 0.752
molecular weight: 676.164 g/mol

The geometry in ORCA input format:
```
! wB97M-V def2-TZVPD RIJCOSX def2/J DEFGRID3
* xyz 2 2
C -4.702 1.882 -3.459
H -2.464 -2.082 3.334
H 0.319 -3.261 -4.076
H -1.411 1.094 5.776
H -2.560 -0.203 6.190
H -4.661 -1.526 -0.438
N -1.597 -0.478 4.375
H 3.815 -0.669 -3.170
N -5.448 2.602 -2.625
C -3.716 2.528 -0.987
C 2.159 -0.435 -1.761
H 3.427 2.593 -4.519
H 2.203 -0.699 -3.909
C 0.626 2.377 -2.615
H 1.175 1.492 -4.519
C -1.273 -4.280 0.887
H -0.299 2.455 2.372
H 2.119 0.620 4.360
H -3.500 -0.622 3.453
C 1.028 3.191 -1.531
H 5.394 1.133 -1.329
H 2.783 -2.117 -3.011
C -2.762 -1.243 3.979
H 1.477 -0.204 1.401
O -1.357 0.171 2.182
H 0.920 -3.069 -1.687
H 3.561 1.321 1.153
H 3.612 -0.568 2.737
H 2.468 -1.876 3.132
H 1.590 -1.879 0.825
C 2.178 -1.015 1.152
C 2.182 3.949 -1.632
H -5.584 3.590 -0.782
H -1.225 -2.190 1.600
H -1.347 -2.724 -3.750
H 0.324 -2.881 1.105
C 2.782 -1.018 -3.033
C 1.101 0.453 4.727
H 5.800 0.467 0.262
H -0.876 1.081 -3.498
C 3.737 1.124 0.085
N 0.141 0.967 3.758
C 0.585 1.993 2.838
H -3.297 2.895 -0.045
C -1.484 1.559 -1.470
C -2.905 1.743 -1.830
C -3.706 -1.814 0.018
P 3.214 -0.605 -0.292
H -2.867 -3.461 -1.123
H -0.828 -4.873 0.074
C 5.224 1.249 -0.250
H -3.280 -0.943 0.527
H 1.957 0.636 -1.906
P -1.000 -1.972 -0.741
C 3.079 3.657 -2.671
H 0.998 0.961 5.695
C -0.745 -2.849 0.860
H 1.239 1.591 2.042
Cu -0.192 0.110 -1.219
H 1.154 2.746 3.392
C -3.453 1.367 -3.074
C 2.708 2.823 -3.745
H -2.371 -4.322 0.805
H -3.221 -1.637 4.890
H -5.067 1.678 -4.467
H -0.016 -1.583 -3.605
H 2.422 4.703 -0.888
H -2.893 0.783 -3.797
C -2.770 -2.367 -1.055
H 3.133 1.837 -0.494
H -0.548 -4.076 -1.846
C -4.974 2.957 -1.430
H 0.957 -0.624 4.874
C 3.058 -1.424 2.327
C -0.962 0.217 3.364
H 0.439 3.205 -0.610
H -0.979 -4.752 1.831
Br 4.765 4.402 -2.665
C -0.305 -2.626 -3.426
H -0.819 -0.492 6.343
H -1.242 2.091 -0.543
H -3.945 -2.568 0.785
C 1.471 2.200 -3.732
C -1.585 0.011 5.744
H 5.600 2.225 0.075
H 3.793 -2.169 2.001
C -0.519 1.466 -2.535
C -0.143 -3.058 -1.971
H 1.195 -0.976 -1.516
H -3.009 -1.961 -2.051
*
```



# 2
Formula: C30H52BrN3OP2Pd
Source: OMol25
Level of theory: ωB97M-V/def2-TZVPD

HOMO-LUMO gap: 0.2521 hartree
HOMO level: -0.2397 hartree
energy relative to the best compared isomer or geometry (same formula, charge and spin): 0.0000 eV
molecular weight: 719.038 g/mol

The geometry in ORCA input format:
```
! wB97M-V def2-TZVPD RIJCOSX def2/J DEFGRID3
* xyz 0 1
N -5.145 2.022 -3.695
H -4.194 2.205 -0.492
H 1.650 -1.861 2.750
H 1.579 1.052 5.758
H 4.909 1.297 -1.615
C 0.066 -1.346 5.484
H 1.853 2.569 3.173
H 4.271 -0.637 -3.188
H 1.885 2.457 -3.421
H 0.863 2.598 5.262
C -0.238 -2.743 -3.761
C -2.064 -1.400 4.268
H 5.077 2.411 -0.234
H -0.421 1.617 -3.243
C 1.754 2.973 -2.456
H -1.897 -2.309 3.668
H 1.102 -1.363 5.128
C 3.332 -1.202 -3.248
H -3.876 -2.371 0.660
H -3.290 -1.802 -2.355
H -1.155 -4.532 1.572
C -2.929 1.125 -3.504
C -1.586 -4.060 0.681
H -1.356 -1.946 1.266
C -0.450 -3.190 -2.308
C 0.722 1.513 5.252
C 0.344 3.516 -0.506
H 0.046 -0.869 6.471
C -5.157 2.288 -2.391
H -2.672 -4.008 0.791
P -1.236 -1.954 -1.150
H 5.491 0.687 -0.052
C 0.580 2.782 -1.683
H 3.529 -2.247 -2.977
H 1.358 -1.161 -2.366
H -0.604 3.429 0.016
P 2.883 -0.584 -0.589
C 4.798 1.394 -0.529
C -0.993 -2.676 0.522
H -5.036 -2.032 -0.623
C -3.997 -1.854 -0.308
N 0.592 1.055 3.882
H 0.527 -3.466 -1.878
Pd -0.035 0.099 -1.204
H 3.693 3.900 -2.502
H 1.164 4.960 0.865
H 1.365 -2.016 0.277
H -4.126 1.234 -5.305
H 2.623 1.767 -0.543
N -0.838 -0.696 4.552
C 2.300 -0.561 -2.312
H -1.078 -4.099 -2.296
C 1.750 -1.085 0.725
H 2.956 -1.174 -4.280
O -0.894 0.135 2.399
H 3.186 -2.142 1.921
H -2.088 0.686 -4.044
H 2.078 0.486 -2.585